# Data
____________
# 1
Pr6Si4Ni7 | PBE | relaxed

Properties
Calculated formation energy = -0.5975 eV/atom
Magnetic moment = 0.22 μB/f.u.

Lattice parameters (Å, degrees): 5.952 7.438 29.786 90.00 90.00 90.00
Space group Pbcm (No. 57)
Inequivalent atoms, fractional coordinates:
Pr (0.106, 0.112, 0.182) [8 per cell]
Pr (0.124, 0.750, 0.000) [4 per cell]
Pr (0.373, 0.021, 0.750) [4 per cell]
Pr (0.386, 0.117, 0.079) [8 per cell]
Si (0.109, 0.035, 0.583) [8 per cell]
Si (0.388, 0.731, 0.672) [8 per cell]
Ni (0.146, 0.743, 0.610) [8 per cell]
Ni (0.188, 0.675, 0.750) [4 per cell]
Ni (0.341, 0.028, 0.648) [8 per cell]
Ni (0.350, 0.094, 0.518) [8 per cell]

---

# 2
Pr2Si3Ni | PBE | relaxed

Properties
Calculated formation energy = -0.6650 eV/atom
Magnetic moment = 0.02 μB/f.u.

Lattice parameters (Å, degrees): 4.0802 4.0802 8.4761 90.00 90.00 120.00
Space group P-6m2 (No. 187)
Inequivalent atoms, fractional coordinates:
Pr (0.0000, 0.0000, 0.2411) [2 per cell]
Si (0.3333, 0.6667, 0.5000) [1 per cell]
Si (0.6667, 0.3333, 0.0000) [1 per cell]
Si (0.6667, 0.3333, 0.5000) [1 per cell]
Ni (0.3333, 0.6667, 0.0000) [1 per cell]

---

# 3
Pr6Si3Ni2 | PBE | relaxed

Properties
Calculated formation energy = -0.4552 eV/atom
Magnetic moment = 0.23 μB/f.u.

Lattice parameters (Å, degrees): 11.956 4.571 12.044 90.00 119.73 90.00
Space group Pm (No. 6)
Inequivalent atoms, fractional coordinates:
Pr (0.000, 0.000, 0.000) [1 per cell]
Pr (0.003, 0.500, 0.232) [1 per cell]
Pr (0.144, 0.000, 0.515) [1 per cell]
Pr (0.252, 0.000, 0.864) [1 per cell]
Pr (0.289, 0.500, 0.138) [1 per cell]
Pr (0.383, 0.500, 0.483) [1 per cell]
Pr (0.529, 0.000, 0.777) [1 per cell]
Pr (0.533, 0.500, 0.011) [1 per cell]
Pr (0.631, 0.500, 0.383) [1 per cell]
Pr (0.755, 0.500, 0.766) [1 per cell]
Pr (0.769, 0.000, 0.237) [1 per cell]
Pr (0.906, 0.000, 0.628) [1 per cell]
Si (0.052, 0.500, 0.846) [1 per cell]
Si (0.099, 0.500, 0.668) [1 per cell]
Si (0.324, 0.500, 0.713) [1 per cell]
Si (0.429, 0.000, 0.330) [1 per cell]
Si (0.611, 0.000, 0.561) [1 per cell]
Si (0.920, 0.500, 0.445) [1 per cell]
Ni (0.206, 0.000, 0.283) [1 per cell]
Ni (0.477, 0.000, 0.153) [1 per cell]
Ni (0.766, 0.250, 0.004) [2 per cell]

---

# 4
PrSi2Ni | PBE | relaxed

Properties
Calculated formation energy = -0.8097 eV/atom

Lattice parameters (Å, degrees): 4.169 16.468 4.066 90.00 90.00 90.00
Space group Cmcm (No. 63)
Inequivalent atoms, fractional coordinates:
Pr (0.000, 0.107, 0.250) [4 per cell]
Si (0.000, 0.250, 0.750) [4 per cell]
Si (0.000, 0.459, 0.250) [4 per cell]
Ni (0.000, 0.318, 0.250) [4 per cell]

---

# 5
PrSi2Ni9 | PBE | relaxed

Properties
Calculated formation energy = -0.4596 eV/atom

Lattice parameters (Å, degrees): 9.836 9.836 6.210 90.00 90.00 90.00
Space group I4_1/amd (No. 141, origin choice 2)
Inequivalent atoms, fractional coordinates:
Pr (0.000, 0.250, 0.375) [4 per cell]
Si (0.000, 0.000, 0.000) [8 per cell]
Ni (0.000, 0.250, 0.875) [4 per cell]
Ni (0.125, 0.046, 0.689) [32 per cell]

---

# 6
Pr7Si5Ni2 | PBE | relaxed

Properties
Calculated formation energy = -0.6477 eV/atom
Magnetic moment = 0.01 μB/f.u.

Lattice parameters (Å, degrees): 23.276 4.310 13.751 90.00 90.00 90.00
Space group Pnma (No. 62)
Inequivalent atoms, fractional coordinates:
Pr (0.021, 0.250, 0.117) [4 per cell]
Pr (0.068, 0.250, 0.543) [4 per cell]
Pr (0.103, 0.750, 0.310) [4 per cell]
Pr (0.118, 0.750, 0.751) [4 per cell]
Pr (0.133, 0.750, 0.026) [4 per cell]
Pr (0.225, 0.250, 0.400) [4 per cell]
Pr (0.238, 0.250, 0.666) [4 per cell]
Si (0.004, 0.250, 0.341) [4 per cell]
Si (0.073, 0.250, 0.895) [4 per cell]
Si (0.164, 0.250, 0.181) [4 per cell]
Si (0.167, 0.750, 0.534) [4 per cell]
Si (0.180, 0.250, 0.879) [4 per cell]
Ni (0.020, 0.250, 0.744) [4 per cell]
Ni (0.228, 0.250, 0.033) [4 per cell]

---

# 7
PrSiNi | PBE | relaxed

Properties
Calculated formation energy = -0.7083 eV/atom

Lattice parameters (Å, degrees): 4.166 4.166 14.015 90.00 90.00 90.00
Space group I4_1md (No. 109)
____________

# Assignment
Could you duplicate the whole of the lines further up character by character?

# Written answer
# 1
Pr6Si4Ni7 | PBE | relaxed

Properties
Calculated formation energy = -0.5975 eV/atom
Magnetic moment = 0.22 μB/f.u.

Lattice parameters (Å, degrees): 5.952 7.438 29.786 90.00 90.00 90.00
Space group Pbcm (No. 57)
Inequivalent atoms, fractional coordinates:
Pr (0.106, 0.112, 0.182) [8 per cell]
Pr (0.124, 0.750, 0.000) [4 per cell]
Pr (0.373, 0.021, 0.750) [4 per cell]
Pr (0.386, 0.117, 0.079) [8 per cell]
Si (0.109, 0.035, 0.583) [8 per cell]
Si (0.388, 0.731, 0.672) [8 per cell]
Ni (0.146, 0.743, 0.610) [8 per cell]
Ni (0.188, 0.675, 0.750) [4 per cell]
Ni (0.341, 0.028, 0.648) [8 per cell]
Ni (0.350, 0.094, 0.518) [8 per cell]

---

# 2
Pr2Si3Ni | PBE | relaxed

Properties
Calculated formation energy = -0.6650 eV/atom
Magnetic moment = 0.02 μB/f.u.

Lattice parameters (Å, degrees): 4.0802 4.0802 8.4761 90.00 90.00 120.00
Space group P-6m2 (No. 187)
Inequivalent atoms, fractional coordinates:
Pr (0.0000, 0.0000, 0.2411) [2 per cell]
Si (0.3333, 0.6667, 0.5000) [1 per cell]
Si (0.6667, 0.3333, 0.0000) [1 per cell]
Si (0.6667, 0.3333, 0.5000) [1 per cell]
Ni (0.3333, 0.6667, 0.0000) [1 per cell]

---

# 3
Pr6Si3Ni2 | PBE | relaxed

Properties
Calculated formation energy = -0.4552 eV/atom
Magnetic moment = 0.23 μB/f.u.

Lattice parameters (Å, degrees): 11.956 4.571 12.044 90.00 119.73 90.00
Space group Pm (No. 6)
Inequivalent atoms, fractional coordinates:
Pr (0.000, 0.000, 0.000) [1 per cell]
Pr (0.003, 0.500, 0.232) [1 per cell]
Pr (0.144, 0.000, 0.515) [1 per cell]
Pr (0.252, 0.000, 0.864) [1 per cell]
Pr (0.289, 0.500, 0.138) [1 per cell]
Pr (0.383, 0.500, 0.483) [1 per cell]
Pr (0.529, 0.000, 0.777) [1 per cell]
Pr (0.533, 0.500, 0.011) [1 per cell]
Pr (0.631, 0.500, 0.383) [1 per cell]
Pr (0.755, 0.500, 0.766) [1 per cell]
Pr (0.769, 0.000, 0.237) [1 per cell]
Pr (0.906, 0.000, 0.628) [1 per cell]
Si (0.052, 0.500, 0.846) [1 per cell]
Si (0.099, 0.500, 0.668) [1 per cell]
Si (0.324, 0.500, 0.713) [1 per cell]
Si (0.429, 0.000, 0.330) [1 per cell]
Si (0.611, 0.000, 0.561) [1 per cell]
Si (0.920, 0.500, 0.445) [1 per cell]
Ni (0.206, 0.000, 0.283) [1 per cell]
Ni (0.477, 0.000, 0.153) [1 per cell]
Ni (0.766, 0.250, 0.004) [2 per cell]

---

# 4
PrSi2Ni | PBE | relaxed

Properties
Calculated formation energy = -0.8097 eV/atom

Lattice parameters (Å, degrees): 4.169 16.468 4.066 90.00 90.00 90.00
Space group Cmcm (No. 63)
Inequivalent atoms, fractional coordinates:
Pr (0.000, 0.107, 0.250) [4 per cell]
Si (0.000, 0.250, 0.750) [4 per cell]
Si (0.000, 0.459, 0.250) [4 per cell]
Ni (0.000, 0.318, 0.250) [4 per cell]

---

# 5
PrSi2Ni9 | PBE | relaxed

Properties
Calculated formation energy = -0.4596 eV/atom

Lattice parameters (Å, degrees): 9.836 9.836 6.210 90.00 90.00 90.00
Space group I4_1/amd (No. 141, origin choice 2)
Inequivalent atoms, fractional coordinates:
Pr (0.000, 0.250, 0.375) [4 per cell]
Si (0.000, 0.000, 0.000) [8 per cell]
Ni (0.000, 0.250, 0.875) [4 per cell]
Ni (0.125, 0.046, 0.689) [32 per cell]

---

# 6
Pr7Si5Ni2 | PBE | relaxed

Properties
Calculated formation energy = -0.6477 eV/atom
Magnetic moment = 0.01 μB/f.u.

Lattice parameters (Å, degrees): 23.276 4.310 13.751 90.00 90.00 90.00
Space group Pnma (No. 62)
Inequivalent atoms, fractional coordinates:
Pr (0.021, 0.250, 0.117) [4 per cell]
Pr (0.068, 0.250, 0.543) [4 per cell]
Pr (0.103, 0.750, 0.310) [4 per cell]
Pr (0.118, 0.750, 0.751) [4 per cell]
Pr (0.133, 0.750, 0.026) [4 per cell]
Pr (0.225, 0.250, 0.400) [4 per cell]
Pr (0.238, 0.250, 0.666) [4 per cell]
Si (0.004, 0.250, 0.341) [4 per cell]
Si (0.073, 0.250, 0.895) [4 per cell]
Si (0.164, 0.250, 0.181) [4 per cell]
Si (0.167, 0.750, 0.534) [4 per cell]
Si (0.180, 0.250, 0.879) [4 per cell]
Ni (0.020, 0.250, 0.744) [4 per cell]
Ni (0.228, 0.250, 0.033) [4 per cell]

---

# 7
PrSiNi | PBE | relaxed

Properties
Calculated formation energy = -0.7083 eV/atom

Lattice parameters (Å, degrees): 4.166 4.166 14.015 90.00 90.00 90.00
Space group I4_1md (No. 109)